
MDM Permian Inc Announces the Second $500,000 Capital Infusion Into Essence Wells, LP for Strategic Rework of East Texas and Permian Basin Wells

MDM Permian Inc Announces the Second $500,000 Capital Infusion Into Essence Wells, LP for Strategic Rework of East Texas and Permian Basin Wells

MDM Permian Inc宣佈向Essence Wells有限責任公司注資第二筆50萬美元,用於東德克薩斯州和二疊紀盆地油井的戰略返工
Accesswire ·  02/21 00:50

DALLAS, TX / ACCESSWIRE / February 20, 2024 / MDM Permian, Inc. (OTC PINK:MDMP) is pleased to announce as the Managing Partner of Essence Wells, LP a recent capital infusion of $500,000 from two accredited, sophisticated individual investors. To uphold our prior commitments to minimize shareholder dilution and maximize shareholder value, MDM is raising this capital through a 506 C Reg D offering. The objective is to generate income through the wells, benefiting both the investors of our company and MDM in its role as the Managing Partner of Essence Wells, LP.

Here the page breaks off for records of crystals >
(1)
# Fe12N5

A relaxed structure of Fe12N5 (PBE, the Materials Project database).

Geometry as CIF:
```
data_Fe12N5
_space_group_name_H-M_alt 'P -3 1 m'
_space_group_IT_number 162
_space_group_name_Hall '-P 3 2'
_cell_length_a 9.4115
_cell_length_b 9.4115
_cell_length_c 4.3078
_cell_angle_alpha 90.00
_cell_angle_beta 90.00
_cell_angle_gamma 120.00
loop_
_atom_site_label
_atom_site_type_symbol
_atom_site_fract_x
_atom_site_fract_y
_atom_site_fract_z
_atom_site_occupancy
Fe1 Fe 0.0000 0.1658 0.2540 1
Fe2 Fe 0.0000 0.3363 0.7453 1
Fe3 Fe 0.1728 0.5072 0.2477 1
N1 N 0.0000 0.0000 0.0000 1
N2 N 0.0000 0.5000 0.0000 1
N3 N 0.1713 0.3427 0.5000 1
```

Properties
**DFT total energy**: -0.624 Ry/atom

(2)
# Ho2Ni17

A relaxed structure of Ho2Ni17 (PBE, the Materials Project database).

Geometry as CIF:
```
data_Ho2Ni17
_space_group_name_H-M_alt 'P 63/m m c'
_space_group_IT_number 194
_space_group_name_Hall '-P 6c 2c'
_cell_length_a 8.2502
_cell_length_b 8.2502
_cell_length_c 8.0336
_cell_angle_alpha 90.00
_cell_angle_beta 90.00
_cell_angle_gamma 120.00
loop_
_atom_site_label
_atom_site_type_symbol
_atom_site_fract_x
_atom_site_fract_y
_atom_site_fract_z
_atom_site_occupancy
Ho1 Ho 0.0000 0.0000 0.2500 1
Ho2 Ho 0.3333 0.6667 0.2500 1
Ni1 Ni 0.0000 0.5000 0.0000 1
Ni2 Ni 0.0406 0.3688 0.7500 1
Ni3 Ni 0.1656 0.3311 0.0191 1
Ni4 Ni 0.3333 0.6667 0.6015 1
```

Properties
**DFT total energy**: -0.431 Ry/atom

(3)
# BaB2O4

A relaxed structure of BaB2O4 (PBE, the Materials Project database).

Geometry as CIF:
```
data_BaB2O4
_space_group_name_H-M_alt 'R -3 c'
_space_group_IT_number 167
_space_group_name_Hall '-R 3 2"c'
_cell_length_a 7.3260
_cell_length_b 7.3260
_cell_length_c 40.1533
_cell_angle_alpha 90.00
_cell_angle_beta 90.00
_cell_angle_gamma 120.00
loop_
_atom_site_label
_atom_site_type_symbol
_atom_site_fract_x
_atom_site_fract_y
_atom_site_fract_z
_atom_site_occupancy
Ba1 Ba 0.0000 0.0000 0.1510 1
Ba2 Ba 0.0000 0.0000 0.2500 1
B1 B 0.0334 0.2102 0.4615 1
O1 O 0.0096 0.2724 0.7971 1
O2 O 0.0323 0.2041 0.5396 1
```

Properties
**DFT total energy**: -0.567 Ry/atom
**Distance to the lowest polymorph of the same formula**: 0 kJ/mol of formula units

(4)
# ErNiB4

A relaxed structure of ErNiB4 (PBE, the Materials Project database).

Geometry as CIF:
```
data_ErNiB4
_space_group_name_H-M_alt 'I 4/m m m'
_space_group_IT_number 139
_space_group_name_Hall '-I 4 2'
_cell_length_a 7.4986
_cell_length_b 7.4986
_cell_length_c 8.4885
_cell_angle_alpha 90.00
_cell_angle_beta 90.00
_cell_angle_gamma 90.00
loop_
_atom_site_label
_atom_site_type_symbol
_atom_site_fract_x
_atom_site_fract_y
_atom_site_fract_z
_atom_site_occupancy
Er1 Er 0.0000 0.0000 0.2034 1
Er2 Er 0.0000 0.5000 0.2500 1
Ni1 Ni 0.0000 0.2284 0.5000 1
B1 B 0.1115 0.2756 0.0000 1
B2 B 0.2332 0.2332 0.3469 1
```

Properties
**DFT total energy**: -0.496 Ry/atom
**Distance to the lowest polymorph of the same formula**: 0 kJ/mol of formula units

(5)
# Zr2N2O
Here the page continues >

德克薩斯州達拉斯/ACCESSWIRE/2024年2月20日/MDM Permian, Inc.(場外交易代碼:MDMP)欣然宣佈,兩位經認可的資深個人投資者作爲Essence Wells, LP的管理合夥人最近注入了50萬美元的資金。爲了兌現我們先前關於最大限度地減少股東稀釋和最大化股東價值的承諾,MDM正在通過發行506 C Reg D籌集這筆資金。目標是通過油井創造收入,使我們公司的投資者和作爲Essence Wells, LP管理合夥人的MDM都受益。

MDM Permian, Inc. will serve as one of two Managing Partners of Essence Wells, LP. The Managing Partners will have complete and exclusive power (except as limited by the Partnership Agreement and applicable law) to manage and control the business, properties, and affairs of the Partnership. The Managing Partners will control the day‐to‐day operations of the Partnership.

MDM Permian, Inc.將成爲Essence Wells, LP的兩名管理合夥人之一。管理合夥人將擁有管理和控制合夥企業的業務、財產和事務的完整和專有權力(受合夥協議和適用法律的限制除外)。管理合夥人將控制合夥企業的日常運營。

The two investments come from MDM Permian, Inc. as one of the managing partners. This investment by MDM further illustrates MDM's belief and commitment in the projects outlined in the Reg D offering. The other investment has come from FireDream Resources, LLC, the majority stockholder of MDM Permian, Inc. This investment underscores MDM's steadfast dedication to the potential inherent in the projects outlined for Essence Wells. It also illuminates management's commitment to minimize dilution to the current shareholders of MDM.

這兩項投資來自作爲管理合夥人之一的MDM Permian, Inc.MDM的這項投資進一步說明了MDM對Reg D產品中概述的項目的信念和承諾。另一項投資來自MDM Permian, Inc.的大股東FireDream Resources, LLC。這項投資凸顯了MDM對Essence Wells概述的項目固有潛力的堅定承諾。它還闡明瞭管理層對最大限度地減少對MDM現有股東的稀釋的承諾。

Essence will use the allocated capital to rework one of the existing wells situated on our East Texas Basin acreage. The designated operator for this project anticipates the completion of the work by mid-February. Conservative estimates on the potential initial production from the well are anticipated to be 2000/mcf of gas a month and 1050 barrels of oil. Assuming production at these levels, the anticipated gross revenue, after factoring in landowner royalties, state severance taxes, and operating expenses, could exceed $55,000, contingent upon prevailing oil and gas prices.


Simultaneously, the other project scheduled to be reworked will be the Ogelsby well in the Permian Basin. The Ogelsby log shows 5 separate producible layers in the target Wichita Albany formation within the existing well. Our geologist and the original drilling company have both independently identified the same 5 layers in the Wichita Albany as potentially productive. Expected production from the Wichita Albany formation in this well, based on comparable wells in the local area, is estimated to be 1500 barrels per month of oil, with no gas. Given that Essence is acquiring only a 50% working interest in the well, the income generated from 1500 barrels per month is estimated to generate over $26,000 per month for investors and over $44,000 in income for MDM, after accounting for all expenses.


Mark Warner, President and CEO of MDM Permian said, "We are excited to begin using the capital on these two wells to demonstrate to our investors that we are making progress to significantly increase shareholder value. Reworking these wells stands as the best use of the capital available to us at the present time. This approach to income generation for MDM aligns with our commitment to MDMP shareholders to minimize shareholder dilution as much as possible."

MDM Permian總裁兼首席執行官馬克·華納表示:“我們很高興開始使用這兩口油井的資金,向投資者證明我們在大幅增加股東價值方面正在取得進展。改造這些油井是我們目前可用資金的最佳用途。MDM的這種創收方法符合我們對MDM股東的承諾,即儘可能減少股東稀釋。”

About MDM Permian Inc

MDM Permian Inc 公司簡介

MDM Permian, Inc. is an emerging oil and gas exploration and production company committed to delivering sustainable energy solutions. With a focus on responsible resource extraction, operational excellence, and environmental stewardship, MDM Permian, Inc. aims to meet the growing energy demands while minimizing its ecological footprint. The company's diverse portfolio spans across multiple regions, driving economic growth and creating value for its stockholders and stakeholders.

MDM Permian, Inc. 是一家新興的石油和天然氣勘探和生產公司,致力於提供可持續的能源解決方案。MDM Permian, Inc. 專注於負責任的資源開採、卓越運營和環境管理,旨在滿足不斷增長的能源需求,同時最大限度地減少其生態足跡。該公司的多元化投資組合跨越多個地區,推動了經濟增長,爲股東和利益相關者創造了價值。

For media inquiries, contact:


Rachel D. Green
V.P. Investor Relations


SOURCE: MDM Permian, Inc.

資料來源:MDM Permian, Inc.

